Oh friend, how can I thank you for the prayers for me this week.
I knew you were praying. I could feel it, I could see it, and you told me.
I knew it every time I saw one of those MOPS moms praying over another MOPS mom.
I knew it in the divine appointments that were happening every time I turned around.
I knew it when I stepped on stage, to speak to the largest live audience I’ve ever spoken to, and had less nerves than I do when I’ve spoken to a dozen women.
I’m so excited to share with you all that God has done, and I will be over the next few weeks ( and there are ways that you will get to participate…) But for now know this:
You are the best bloggy friends a girl could have.
God used you in a big way.
I owe you a coffee the next time we hang out.
Kathi, I WAS ONE OF THOSE MOPS MOMS!!! And it was my first confrence, and let me just tell you that YOU are one of the many reasons that I LOVED it so very much! You had me laughing and deeply feeling all at the same time! Thank you for being you and for sharing it with the rest of us! You truly are a gift from GOD! I also bought the Me project,a dn the MArraige Project and I have to tell you my husband and I are enjoying every minute of reading your book togetehr! Thanks!!!
A Very Happy MOP,
Jennifer Dudley
Oh Kathi, do tell! I’ve already spoken to one of my dear local MOPS ladies and she was SOOOOO on fire! She was able to meet you and get you to sign her books (that she had bought from my book table). Isn’t the Lord good? Can’t wait to hear all about it. Blessings and LOVE, Janell
I was at the MOPS Conference in Nashville and heard you speak – TWICE!! (Storyboard and The Husband Project)! Fantastic! Looked you up just because of that! Bought 2 of your books and a shirt while I was there (you were right – men love it, the first 2 comments on ‘My Husband is a Hottie’ shirt were by men – bonus: my hubby liked it too).
# Misplaced materials data
Record 1
An optimized crystal structure of CoCu2B2O6, computed with PBE+U.

Structure (CIF):
```
data_CoCu2B2O6
_chemical_formula_sum 'Co4 Cu8 B8 O24'
_symmetry_space_group_name_H-M 'P 1 21/c 1'
_symmetry_Int_Tables_number 14
_cell_length_a 3.271
_cell_length_b 14.941
_cell_length_c 9.271
_cell_angle_alpha 90.00
_cell_angle_beta 94.51
_cell_angle_gamma 90.00
loop_
_symmetry_equiv_pos_as_xyz
'x,y,z'
'-x,-y,-z'
'-x,y+1/2,-z+1/2'
'x,-y+1/2,z+1/2'
loop_
_atom_site_label
_atom_site_fract_x
_atom_site_fract_y
_atom_site_fract_z
Co1 0.195 0.137 0.378
Cu1 0.311 0.543 0.363
Cu2 0.333 0.742 0.875
B1 0.137 0.580 0.835
B2 0.187 0.152 0.905
O1 0.015 0.651 0.736
O2 0.090 0.006 0.297
O3 0.231 0.233 0.970
O4 0.302 0.616 0.962
O5 0.320 0.073 0.964
O6 0.336 0.654 0.260
```

Properties
**Total magnetization**: 16.0 μB per cell
**Calculated formation energy**: -1.816 eV per atom
**Density**: 4.5 Mg/m³



Record 2
An optimized crystal structure of FeCoBO4, computed with PBE+U.

Structure (CIF):
```
data_FeCoBO4
_chemical_formula_sum 'Fe4 Co4 B4 O16'
_symmetry_space_group_name_H-M 'P n m a'
_symmetry_Int_Tables_number 62
_cell_length_a 9.391
_cell_length_b 3.147
_cell_length_c 9.514
_cell_angle_alpha 90.00
_cell_angle_beta 90.00
_cell_angle_gamma 90.00
loop_
_symmetry_equiv_pos_as_xyz
'x,y,z'
'-x,-y,-z'
'-x+1/2,-y,z+1/2'
'x+1/2,y,-z+1/2'
'x+1/2,-y+1/2,-z+1/2'
'-x+1/2,y+1/2,z+1/2'
'-x,y+1/2,-z'
'x,-y+1/2,z'
loop_
_atom_site_label
_atom_site_fract_x
_atom_site_fract_y
_atom_site_fract_z
Fe1 0.119 0.250 0.068
Co1 0.102 0.250 0.687
B1 0.166 0.250 0.372
O1 0.007 0.250 0.885
O2 0.022 0.250 0.371
O3 0.241 0.250 0.501
O4 0.243 0.250 0.245
```

Properties
**Total magnetization**: 32.0 μB per cell
**Calculated formation energy**: -1.988 eV per atom
**Density**: 4.5 Mg/m³



Record 3
An optimized crystal structure of FeCo2BO5, computed with PBE+U.

Structure (CIF):
```
data_FeCo2BO5
_chemical_formula_sum 'Fe4 Co8 B4 O20'
_symmetry_space_group_name_H-M 'P b a m'
_symmetry_Int_Tables_number 55
_cell_length_a 9.418
_cell_length_b 12.416
_cell_length_c 3.072
_cell_angle_alpha 90.00
_cell_angle_beta 90.00
_cell_angle_gamma 90.00
loop_
_symmetry_equiv_pos_as_xyz
'x,y,z'
'-x,-y,-z'
'-x,-y,z'
'x,y,-z'
'x+1/2,-y+1/2,-z'
'-x+1/2,y+1/2,z'
'-x+1/2,y+1/2,-z'
'x+1/2,-y+1/2,z'
loop_
_atom_site_label
_atom_site_fract_x
_atom_site_fract_y
_atom_site_fract_z
Fe1 0.240 0.115 0.000
Co1 0.000 0.000 0.500
Co2 0.000 0.500 0.000
Co3 0.001 0.720 0.500
B1 0.229 0.861 0.000
O1 0.108 0.143 0.500
O2 0.118 0.578 0.500
O3 0.124 0.360 0.000
O4 0.153 0.958 0.000
O5 0.155 0.764 0.000
```

Properties
**Total magnetization**: 36.0 μB per cell
**Calculated formation energy**: -1.756 eV per atom
**Density**: 4.9 Mg/m³



| no. | uncorrected energy (eV/atom) |
| --- | --- |
| 1 | -6.60 |
| 2 | -7.05 |
| 3 | -6.77 |

----------

Record 1
Compound: Ca2Ta2NiO8
Source: Materials Project
Functional: PBE+U
Structure: optimized geometry

Values from the calculation:
* DFT formation energy: -3.036 eV per atom
I just wanted you to know that I really enjoyed hearing you speak and am looking forward to reading the books. Hope to hear you speak again. You did an excellent job. Thanks so much for the encouragement and the ideas!
Doesn’t it feel GREAT to live into what God has called you to?! Remember this? I do, from way back: “Call to me and I will answer you and tell you great and unsearchable things you do not know”. From your mouth to God’s ear and back through you to another ear that needs to hear it, too. It’s awesome to see the impact you have in pointing women toward a Love that will always be big enough to satisfy the hunger within. I’m so proud of you honoring your vision, values and quirky, funny, inspiring, real self that is such an amazing example of being fearfully and wonderfully made!
Kathi, Speaking as one of those MOPS moms that you touched at the conference, I am very thankful for having the chance to listen to your presentation. Thank you and thank you to your readers for praying. I’m looking forward to getting into your book, “The Husband Project.” I also know that my group is anxiously awaiting the MOPS meeting where we will watch the DVD and then at another time hopefully skyping with you. We are so inspired by this weekend! Thanks again!
You were awesome! We are all still in horror over the Macy’s bags at Goodwill, but most of all encouraged to write a better story for our lives. My friends who were in The Husband Project workshop are very excited to get started. Thank you for sharing your gifts with MOPS!
Praise God…sounds like He moved in powerful ways at the conference and in the lives of the women there. Thanks for including us and allowing us the privilege of praying for you. Can’t wait to hear the specific details of the conference.
At the MOPS Convention I wanted to buy the Husband Project and grabbed the Marriage Project instead. I know God doesn’t make mistakes and this is proof. I came home and told my husband about it and he grabbed the book and dug in. Certainly NOT his usual behavior. We’re starting our planning week, but I just can’t resist wearing the “my husband is a hottie” shirt tonight to his softball game tonight. Maybe that will kick it all off.
Thanks for being an inspiration!
Kathi!!!! I was there and had no idea about this blog before. I too could feel God’s guidance when you spoke. My group from Liberty even met you in the resource room and we are hooked. Just created a secret facebook page for us to start your Husband Project together so we can support each other in this new adventure!!!
Thanks so much for being at Convention!!!!!!!!!!!!!!! You were a blessing to many and have probably changed alot of paths in a great big way. Thanks for being real and also being an inspiration to me. You are doing what I think I feel lead to do!!!
THANKS so much. Hope you can come to us to speak and visit your KC family!
isn’t that what friends are for??
Thanks for allowing us to be part of all that God is so evidently doing in your life.
Can’t wait to hear all about it and see what you will share! I bet it’s awesome!
Jenny Lee Sulpizio
God always show up! Way to go!
Oh, Kathi, you are so very welcome! What a pleasure and an honor to pray for you and those precious MOPS. And isn’t it just like God to show up in such a big way, like we knew He would! So fun to watch Him work, and such a blessing to be allowed to be even a small part of it. Oh, and thank you, I will have a Skinny Vanilla Latte…